• Given:
+++
Record 1
The following is a quantum chemistry calculation of 9 unconnected molecules or ions with the total composition C31H71N8O12S, from the Open Molecules 2025 dataset.

Last column: Mulliken charge in e.
Element x y z (Å)
C -1.891 -0.125 -1.518  -0.68
O -2.219 1.254 -1.491  -0.36
C -2.645 1.718 -2.762  0.08
C -4.113 1.391 -3.096  -0.70
C -5.038 1.277 -1.882  -0.21
C -6.127 0.197 -1.984  -1.07
C -5.615 -1.177 -2.422  0.28
C -6.482 -2.316 -1.883  -0.84
S -5.633 -3.908 -2.020  1.13
O -6.678 -4.885 -2.307  -0.74
O -4.688 -3.732 -3.120  -0.71
O -4.981 -4.092 -0.710  -0.62
H -0.959 -0.290 -2.064  0.27
H -1.767 -0.454 -0.497  0.13
H -2.683 -0.729 -1.963  0.38
H -2.450 2.786 -2.829  -0.29
H -2.017 1.252 -3.533  0.34
H -4.468 2.221 -3.702  0.45
H -4.156 0.516 -3.741  0.41
H -4.486 1.112 -0.959  0.29
H -5.555 2.233 -1.767  0.08
H -6.920 0.520 -2.659  0.30
H -6.565 0.091 -0.990  0.38
H -4.601 -1.362 -2.078  -0.27
H -5.607 -1.243 -3.505  0.33
H -7.407 -2.413 -2.446  0.28
H -6.694 -2.125 -0.834  0.38
C 1.913 -1.657 2.084  -1.47
C 0.642 -0.912 1.763  0.56
O 0.270 -0.727 0.615  -0.48
N -0.086 -0.438 2.810  -0.04
C 0.200 -0.566 4.226  -0.86
H 2.365 -1.969 1.147  0.34
H 2.615 -1.019 2.621  0.40
H 1.714 -2.540 2.689  0.46
H -0.927 0.047 2.533  0.25
H -0.610 -1.098 4.727  0.31
H 0.296 0.423 4.683  0.27
H 1.124 -1.114 4.382  0.29
C -5.050 5.713 -2.343  -1.26
C -4.170 5.502 -3.547  0.83
O -3.623 4.429 -3.759  -0.57
N -3.996 6.549 -4.397  -0.14
C -4.548 7.882 -4.289  -0.88
H -5.078 4.789 -1.773  0.12
H -4.638 6.503 -1.716  0.31
H -6.068 5.971 -2.645  0.42
H -3.399 6.338 -5.180  0.26
H -5.162 8.110 -5.164  0.33
H -3.744 8.618 -4.228  0.24
H -5.160 7.969 -3.399  0.32
C 4.068 -5.597 3.119  -1.68
C 4.354 -4.115 3.126  0.83
O 3.803 -3.350 3.912  -0.65
N 5.233 -3.643 2.216  0.07
C 5.969 -4.367 1.190  -0.76
H 3.342 -5.809 3.899  0.38
H 3.655 -5.906 2.159  0.40
H 4.978 -6.165 3.318  0.37
H 5.368 -2.646 2.272  0.24
H 7.040 -4.226 1.342  0.22
H 5.698 -3.963 0.216  0.26
H 5.745 -5.427 1.223  0.34
C 5.988 -3.248 -4.165  -1.37
C 5.593 -2.745 -2.796  0.85
O 6.242 -3.022 -1.796  -0.66
N 4.483 -1.973 -2.710  -0.09
C 3.590 -1.550 -3.775  -0.88
H 6.888 -3.846 -4.062  0.30
H 5.198 -3.867 -4.592  0.39
H 6.192 -2.415 -4.838  0.37
H 4.272 -1.673 -1.771  0.13
H 3.563 -0.461 -3.830  0.29
H 2.579 -1.909 -3.582  0.31
H 3.923 -1.939 -4.731  0.35
C -5.515 -3.812 2.232  -1.11
C -5.688 -4.070 3.704  0.61
O -5.877 -3.187 4.530  -0.69
N -5.623 -5.373 4.105  -0.14
C -5.409 -6.544 3.276  -0.75
H -5.587 -2.748 2.034  0.32
H -4.543 -4.161 1.889  0.38
H -6.284 -4.323 1.654  0.34
H -5.743 -5.499 5.096  0.22
H -6.256 -7.229 3.363  0.26
H -4.507 -7.072 3.593  0.26
H -5.298 -6.260 2.235  0.30
C 7.030 -3.304 5.450  -1.17
C 8.383 -3.603 4.852  0.75
O 8.595 -4.607 4.192  -0.65
N 9.378 -2.699 5.073  -0.16
C 9.314 -1.461 5.823  -0.80
H 6.350 -4.107 5.184  0.09
H 7.090 -3.241 6.537  0.47
H 6.632 -2.370 5.053  0.38
H 10.255 -2.955 4.647  0.23
H 9.563 -0.615 5.178  0.27
H 10.025 -1.482 6.651  0.27
H 8.318 -1.309 6.224  0.31
C -0.694 5.782 -2.417  -0.85
C -1.232 7.137 -2.063  0.62
O -2.359 7.308 -1.616  -0.65
N -0.414 8.206 -2.271  -0.12
C 0.942 8.195 -2.783  -0.85
H -1.464 5.040 -2.223  -0.07
H -0.443 5.747 -3.480  0.35
H 0.194 5.523 -1.833  0.50
H -0.829 9.091 -2.026  0.26
H 1.627 8.625 -2.050  0.27
H 1.006 8.784 -3.701  0.29
H 1.257 7.179 -2.994  0.32
C 1.294 2.179 -0.631  -0.96
C 1.541 3.583 -0.151  0.53
O 1.641 4.521 -0.931  -0.78
N 1.636 3.786 1.189  -0.09
C 1.525 2.801 2.247  -0.45
H 1.237 2.188 -1.715  0.34
H 2.103 1.514 -0.325  0.37
H 0.352 1.790 -0.247  0.24
H 1.796 4.747 1.444  0.24
H 0.696 3.053 2.911  0.28
H 2.444 2.775 2.836  0.29
H 1.347 1.814 1.831  -0.10

Output
HOMO level	-4.94	eV
gap between HOMO and LUMO	6.62	eV
calculated total energy	-80629.6011	eV
charge	-1
max |F|	0.011	Eh/bohr

Record 2
The following is a quantum chemistry calculation of 3 unconnected molecules or ions with the total composition C31H72Cl2N6O11P2S, from the Open Molecules 2025 dataset.
+++
• Request:
Could you work out how many lines above have the word "between" in them; a number is enough?
• Completed:
1